Work order:
Now search the contents below for the word "kJ" and duplicate each line that has it.

Entries:
┌──
No. 1
Below is a structure of composition C23H57B2F4HfN10O4SSi4Te, with properties calculated with ωB97M-V with the def2-TZVPD basis set.

Values from the calculation:
* net charge: +3
* frontier orbital gap: 0.227 Ha
* LUMO: -0.3356 hartree
* calculated total energy: -111022.1406 eV
* energy relative to the best compared isomer or geometry (same formula, charge and spin): 474.1 kJ/mol

Element x y z (Å)
1 Hf 2.4393 -1.4143 0.4110
2 C 3.0895 -4.9735 3.1189
3 C 3.2167 -3.7696 2.2717
4 N 2.2931 -2.9105 2.0343
5 O 1.0153 -3.0634 2.5026
6 B 0.0748 -2.9927 1.3342
7 F 0.8778 -3.4362 0.2123
8 F -1.0179 -3.7335 1.5446
9 O -0.3193 -1.5612 0.9649
10 N 0.3460 -1.1143 -0.1839
11 C 0.0268 -1.6175 -1.3363
12 C -1.1778 -2.4185 -1.6397
13 C 1.1228 -1.5083 -2.3357
14 N 2.2579 -1.4636 -1.7298
15 O 3.4399 -1.6712 -2.3530
16 B 4.2162 -2.7536 -1.5889
17 F 4.9187 -3.4837 -2.4473
18 F 3.1295 -3.5011 -0.9475
19 O 5.0300 -2.2430 -0.4316
20 N 4.3512 -2.3934 0.7742
21 C 4.3907 -3.5405 1.3645
22 C 5.3327 -4.6260 1.0385
23 C 0.9294 -1.6387 -3.7982
24 H 2.0710 -5.0659 3.4877
25 H 3.7786 -4.9282 3.9652
26 H 3.3432 -5.8645 2.5422
27 H -1.8617 -2.4165 -0.7941
28 H -0.8802 -3.4544 -1.8277
29 H -1.6703 -2.0558 -2.5431
30 H 6.1494 -4.2344 0.4355
31 H 4.8313 -5.3926 0.4390
32 H 5.7115 -5.1006 1.9438
33 H 0.0413 -1.1029 -4.1312
34 H 0.8066 -2.6926 -4.0641
35 H 1.8097 -1.2753 -4.3241
36 N 1.6124 1.3522 -0.4826
37 N 2.5759 2.2796 -0.8571
38 C 3.8721 1.9203 -0.8751
39 N 4.7715 2.8293 -1.2286
40 S 4.3690 0.3646 -0.4626
41 H 0.9188 1.2507 -1.2160
42 H 1.1341 1.6567 0.3606
43 H 2.2952 3.2025 -1.1579
44 H 4.5305 3.7545 -1.5474
45 H 5.7398 2.5541 -1.2812
46 C -5.3625 2.6343 -0.1019
47 Si -4.2572 1.8886 1.2267
48 C -3.4497 3.1666 2.3353
49 C -5.0081 0.4646 2.1797
50 Si -3.1142 1.4908 -2.2473
51 Te -2.2313 0.8175 -0.0261
52 Si -4.7101 0.0630 -3.3873
53 C -5.1850 -1.3194 -2.2003
54 C -3.7806 -0.5658 -4.9076
55 C -6.1470 1.1857 -3.8433
56 Si -2.1704 3.5297 -3.0860
57 C -3.5582 4.6313 -3.7078
58 C -0.9657 3.0105 -4.4470
59 C -1.2173 4.3296 -1.6593
60 H -6.2206 3.1167 0.3701
61 H -5.7549 1.8729 -0.7797
62 H -4.8469 3.3983 -0.6892
63 H -4.1937 3.5975 3.0083
64 H -3.0079 3.9853 1.7676
65 H -2.6718 2.7166 2.9527
66 H -5.7273 0.8367 2.9124
67 H -4.2448 -0.0927 2.7236
68 H -5.5320 -0.2345 1.5277
69 H -4.3246 -1.8056 -1.7407
70 H -5.7444 -2.0874 -2.7380
71 H -5.8284 -0.9550 -1.3987
72 H -2.9760 -1.2609 -4.6632
73 H -3.3587 0.2486 -5.4985
74 H -4.4768 -1.0989 -5.5580
75 H -6.6758 1.5668 -2.9694
76 H -6.8691 0.6222 -4.4375
77 H -5.8346 2.0409 -4.4434
78 H -4.1315 4.1548 -4.5038
79 H -3.1378 5.5510 -4.1191
80 H -4.2531 4.9176 -2.9177
81 H -1.4752 2.4782 -5.2513
82 H -0.1582 2.3722 -4.0828
83 H -0.5093 3.8942 -4.8960
84 H -1.8943 4.7665 -0.9245
85 H -0.5871 5.1378 -2.0348
86 H -0.5816 3.6150 -1.1328
87 C 4.4735 0.8398 2.8141
88 N 3.5128 0.3891 3.7979
89 C 4.1033 0.0177 5.0799
90 C 2.2500 0.0795 3.4499
91 N 1.9113 -0.1771 2.1657
92 N 1.3200 0.1051 4.4201
93 C 0.0235 -0.5449 4.3002
94 C 1.4240 0.9694 5.5933
95 H 5.2195 1.4487 3.3236
96 H 3.9739 1.4469 2.0669
97 H 4.9835 0.0088 2.3214
98 H 4.9927 -0.5866 4.8920
99 H 3.4131 -0.5701 5.6764
100 H 4.4066 0.8999 5.6444
101 H 0.8919 -0.2149 2.1226
102 H -0.7501 0.1667 3.9944
103 H -0.2502 -0.9437 5.2765
104 H 0.0551 -1.3752 3.6045
105 H 2.2271 1.6908 5.4809
106 H 1.5710 0.3956 6.5089
107 H 0.4881 1.5206 5.6947


No. 2
Below is a cluster of 4 separate species, C23H58BFN4O8 in total, with properties calculated with ωB97M-V with the def2-TZVPD basis set.

Values from the calculation:
* net charge: 0
* frontier orbital gap: 0.333 Ha
* LUMO: 0.0249 hartree
* SMILES: C[C@H](O)CNCCOBF.COCCNCCOC.COCCNCCOC.COCCNCCOC
* calculated total energy: -50523.0223 eV

Element x y z (Å)
1 C 3.5415 5.3001 -2.2010
2 C 4.1882 4.0900 -2.8915
3 O 4.5952 4.4004 -4.2292
4 C 3.2711 2.8718 -2.9357
5 N 2.0529 3.1038 -3.7063
6 C 0.8222 2.5734 -3.1469
7 C 0.0264 3.5231 -2.2355
8 O -1.3202 3.7311 -2.7425
9 B -1.4873 4.9647 -3.3058
10 F -0.6790 5.3301 -4.3251
└──

Result:
* energy relative to the best compared isomer or geometry (same formula, charge and spin): 474.1 kJ/mol